Input:
=====
1.
Structure and computed XRD peak list of ErMg2Ru (a PBE-relaxed structure; a wavelength of 1.5418 Å).
No peak broadening, texture or thermal motion is included.

Largest 10 diffraction maxima, in order of rising 2θ, 10 to 90 degrees two-theta:
hkl, 2theta, I/Imax
0 2 0, 21.21, 100.0
2 1 1, 23.04, 23.2
4 0 0, 23.30, 24.3
4 2 0, 31.71, 43.6
3 2 1, 32.44, 23.7
5 1 1, 35.59, 28.4
2 1 2, 37.53, 79.1
6 0 1, 39.28, 24.4
0 4 0, 43.19, 22.3
2 3 2, 48.89, 31.7

Structure:
```
data_ErMg2Ru
_space_group_name_H-M_alt 'P n m a'
_space_group_IT_number 62
_space_group_name_Hall '-P 2ac 2n'
_cell_length_a 15.2683
_cell_length_b 8.3783
_cell_length_c 5.2935
_cell_angle_alpha 90.00
_cell_angle_beta 90.00
_cell_angle_gamma 90.00
loop_
_atom_site_label
_atom_site_fract_x
_atom_site_fract_y
_atom_site_fract_z
Er1 0.1098 0.2500 0.2500
Er2 0.1392 0.7500 0.0579
Mg1 0.0396 0.0585 0.7368
Mg2 0.2108 0.5572 0.5490
Ru1 0.0637 0.7500 0.5641
Ru2 0.1870 0.2500 0.7491
```

=====

2.
Structure and computed XRD peak list of YErMgRu (a PBE-relaxed structure; a wavelength of 1.5418 Å).
No peak broadening, texture or thermal motion is included.

Largest 10 diffraction maxima, in order of rising 2θ, 10 to 90 degrees two-theta:
hkl, 2theta, I/Imax
0 0 1, 11.03, 85.5
1 0 0, 25.89, 13.9
1 0 2, 34.33, 100.0
1 1 0, 36.94, 50.8
1 1 1, 38.67, 17.1
1 0 3, 42.82, 35.0
2 0 0, 53.24, 17.5
2 1 2, 64.90, 30.7
1 1 5, 70.26, 11.2
2 1 3, 70.61, 15.7

Structure:
```
data_YErMgRu
_space_group_name_H-M_alt 'P 4 m m'
_space_group_IT_number 99
_space_group_name_Hall 'P 4 -2'
_cell_length_a 3.4411
_cell_length_b 3.4411
_cell_length_c 8.0250
_cell_angle_alpha 90.00
_cell_angle_beta 90.00
_cell_angle_gamma 90.00
loop_
_atom_site_label
_atom_site_fract_x
_atom_site_fract_y
_atom_site_fract_z
Y1 0.0000 0.0000 0.0000
Er1 0.0000 0.0000 0.5915
Mg1 0.5000 0.5000 0.2983
Ru1 0.5000 0.5000 0.7904
```

=====

3.
Structure and computed XRD peak list of ErMgS (a PBE-relaxed structure; a wavelength of 1.5418 Å).
No peak broadening, texture or thermal motion is included.

Largest 10 diffraction maxima, in order of rising 2θ, 10 to 90 degrees two-theta:
hkl, 2theta, I/Imax
1 0 1, 21.92, 100.0
0 0 6, 24.10, 29.7
1 0 4, 26.95, 31.7
0 1 5, 29.58, 55.0
1 0 7, 35.75, 36.2
1 1 0, 37.77, 69.2
0 2 1, 44.09, 16.0
1 1 6, 45.31, 33.4
1 0 10, 46.52, 17.2
1 1 9, 53.53, 15.3

Structure:
```
data_ErMgS
_space_group_name_H-M_alt 'R -3 m'
_space_group_IT_number 166
_space_group_name_Hall '-R 3 2"'
_cell_length_a 4.7636
_cell_length_b 4.7636
_cell_length_c 22.1595
_cell_angle_alpha 90.00
_cell_angle_beta 90.00
_cell_angle_gamma 120.00
loop_
_atom_site_label
_atom_site_fract_x
_atom_site_fract_y
_atom_site_fract_z
Er1 0.0000 0.0000 0.0910
Mg1 0.0000 0.0000 0.3299
S1 0.0000 0.0000 0.2155
```

=====

4.
Structure and computed XRD peak list of Er2MgS4 (a PBE-relaxed structure; a wavelength of 1.5418 Å).
No peak broadening, texture or thermal motion is included.

Largest 10 diffraction maxima, in order of rising 2θ, 10 to 90 degrees two-theta:
hkl, 2theta, I/Imax
1 0 2, 15.05, 89.5
2 0 3, 24.56, 87.6
2 1 0, 27.32, 100.0
0 1 3, 30.86, 30.1
3 1 1, 32.43, 33.0
3 1 2, 34.52, 53.2
1 1 5, 41.94, 33.8
4 1 3, 42.47, 44.2
0 2 0, 47.56, 24.4
1 1 6, 47.93, 33.4

Structure:
```
data_Er2MgS4
_space_group_name_H-M_alt 'P n m a'
_space_group_IT_number 62
_space_group_name_Hall '-P 2ac 2n'
_cell_length_a 12.5434
_cell_length_b 3.8234
_cell_length_c 13.3278
_cell_angle_alpha 90.00
_cell_angle_beta 90.00
_cell_angle_gamma 90.00
loop_
_atom_site_label
_atom_site_fract_x
_atom_site_fract_y
_atom_site_fract_z
Er1 0.1172 0.2500 0.0758
Er2 0.1384 0.2500 0.7049
Mg1 0.1121 0.7500 0.4528
S1 0.0087 0.7500 0.6168
S2 0.0274 0.2500 0.8835
S3 0.2261 0.2500 0.2485
S4 0.2388 0.2500 0.5164
```

* * * * *

# 1
PmSmHo3Sc: theoretical X-ray powder pattern (Cu Kα (weighted mean of Kα1 and Kα2)), based on DFT lattice parameters and positions (PBE).
No peak broadening, texture or thermal motion is included.
=====

To do:
Count the lines above that contain the word "wavelength" and give the number alone, please.

Here it is:
4